**Material**
........
## Ba3Sr (PBEsol)

Data for Ba3Sr after structural relaxation.

a = 4.320 Å, b = 7.485 Å, c = 7.504 Å
α = 99.83°, β = 106.73°, γ = 90.00°
Positions (direct):
Ba1 0.250 0.752 0.501
Ba2 0.750 0.248 0.499
Ba3 0.500 0.500 0.000
Sr1 0.000 0.000 0.000

Properties
- ΔH_f (0 K): 18 meV per atom
- Offset from the most stable computed form: 0.019 eV/atom

~~~~~

Record 1
A relaxed structure of Sr2GeSb. Source: the Alexandria database, functional PBE.

N(E_F)	2.353	states/eV/cell
relative energy among the computed polymorphs	0.0000	eV per atom
ΔE_f (raw)	-625	meV/atom

The structure in CIF format:
```
data_Sr2GeSb
_chemical_formula_sum 'Sr2 Ge1 Sb1'
_symmetry_space_group_name_H-M 'P 4/m m m'
_symmetry_Int_Tables_number 123
_symmetry_space_group_name_Hall '-P 4 2'
_cell_length_a 5.227
_cell_length_b 5.227
_cell_length_c 4.476
_cell_angle_alpha 90.00
_cell_angle_beta 90.00
_cell_angle_gamma 90.00
loop_
_atom_site_label
_atom_site_fract_x
_atom_site_fract_y
_atom_site_fract_z
Sr1 0.000 0.500 0.000
Ge1 0.000 0.000 0.500
Sb1 0.500 0.500 0.500
```

***

Record 2
A relaxed structure of SrTi2GeSb. Source: the Alexandria database, functional PBE.

N(E_F)	4.433	states/eV/cell
ΔE_f (raw)	89	meV/atom

The structure in CIF format:
```
data_SrTi2GeSb
_chemical_formula_sum 'Sr1 Ti2 Ge1 Sb1'
_symmetry_space_group_name_H-M 'P 4/m m m'
_symmetry_Int_Tables_number 123
_symmetry_space_group_name_Hall '-P 4 2'
_cell_length_a 4.910
_cell_length_b 4.910
_cell_length_c 5.695
_cell_angle_alpha 90.00
_cell_angle_beta 90.00
_cell_angle_gamma 90.00
loop_
_atom_site_label
_atom_site_fract_x
_atom_site_fract_y
_atom_site_fract_z
Sr1 0.000 0.000 0.000
Ti1 0.000 0.500 0.500
Ge1 0.000 0.000 0.500
Sb1 0.500 0.500 0.000
```

***

Record 3
A relaxed structure of SrZnGeSb2. Source: the Alexandria database, functional PBE.

N(E_F)	2.581	states/eV/cell
ΔE_f (raw)	203	meV/atom

The structure in CIF format:
```
data_SrZnGeSb2
_chemical_formula_sum 'Sr1 Zn1 Ge1 Sb2'
_symmetry_space_group_name_H-M 'P 4/m m m'
_symmetry_Int_Tables_number 123
_symmetry_space_group_name_Hall '-P 4 2'
_cell_length_a 5.398
_cell_length_b 5.398
_cell_length_c 5.896
_cell_angle_alpha 90.00
_cell_angle_beta 90.00
_cell_angle_gamma 90.00
loop_
_atom_site_label
_atom_site_fract_x
_atom_site_fract_y
_atom_site_fract_z
Sr1 0.000 0.000 0.000
Zn1 0.500 0.500 0.000
Ge1 0.000 0.000 0.500
Sb1 0.000 0.500 0.500
```

***

Record 4
A relaxed structure of Ta2Ge2Sb. Source: the Alexandria database, functional PBE.

N(E_F)	4.858	states/eV/cell
relative energy among the computed polymorphs	0.1966	eV per atom
ΔE_f (raw)	213	meV/atom

The structure in CIF format:
```
data_Ta2Ge2Sb
_chemical_formula_sum 'Ta4 Ge4 Sb2'
_symmetry_space_group_name_H-M 'P 4/m b m'
_symmetry_Int_Tables_number 127
_symmetry_space_group_name_Hall '-P 4 2ab'
_cell_length_a 7.334
_cell_length_b 7.334
_cell_length_c 3.423
_cell_angle_alpha 90.00
_cell_angle_beta 90.00
_cell_angle_gamma 90.00
loop_
_atom_site_label
_atom_site_fract_x
_atom_site_fract_y
_atom_site_fract_z
Ta1 0.163 0.337 0.000
Ge1 0.130 0.630 0.500
Sb1 0.000 0.000 0.500
```

***

Record 5
A relaxed structure of Ta2Ge2Sb. Source: the Alexandria database, functional PBE.

N(E_F)	4.870	states/eV/cell
relative energy among the computed polymorphs	0.0000	eV per atom
ΔE_f (raw)	16	meV/atom

The structure in CIF format:
```
data_Ta2Ge2Sb
_chemical_formula_sum 'Ta4 Ge4 Sb2'
_symmetry_space_group_name_H-M 'P 4/m b m'
_symmetry_Int_Tables_number 127
_symmetry_space_group_name_Hall '-P 4 2ab'
_cell_length_a 7.383
_cell_length_b 7.383
_cell_length_c 3.468
_cell_angle_alpha 90.00
_cell_angle_beta 90.00
_cell_angle_gamma 90.00
loop_
_atom_site_label
_atom_site_fract_x
_atom_site_fract_y
_atom_site_fract_z
Ta1 0.149 0.351 0.000
Ge1 0.140 0.640 0.500
Sb1 0.000 0.000 0.000
```

***

Record 6
A relaxed structure of Ta2Ge2Sb. Source: the Alexandria database, functional PBE.

N(E_F)	10.406	states/eV/cell
relative energy among the computed polymorphs	0.2432	eV per atom
ΔE_f (raw)	260	meV/atom
........
**Work order**
Next, work out how many lines further above have the word "atom" in them; a number is enough.
**Response**
12